Firing of Yixing Teapots

An Overview of Yixing Kilns

Each renowned historical ceramics center developed a unique combination of techniques, from clay processing to ware construction and firing, in order to achieve their sought-after qualities. Kiln design, fuel, and firing schedules were major areas of innovation[1], with some information held as closely guarded trade-secrets and other information easily available to experts in ceramic formulation and kiln construction throughout China[2].

This chapter focuses on kiln technology for the firing of zisha wares; the chapter takes a linear approach to the historical development of firing methods from wood firing in dragon kilns, to the development of downdraft kilns, and the contemporary use of electric kilns. In taking a developmental approach to the topic, with the exception of a brief review section on complete firings, I forgo independent technical sections discussing fuel, atmosphere, and kiln design and instead focus on the innovations and tradeoffs of kiln firing within their integrated historical contexts. This chapter is thus intended to be read sequentially, as historical and technical context are not re-explained in each subsequent section.

A kiln-site is a locality that has born a collection of kilns across time, where kilns have been built, rebuilt, repaired, redesigned, and restructured. A kiln-site does not connotate that a specific kiln within the site has remained in continuous use; an important context when a village kiln-site may have a discontinuous series of kilns built over the remains of older kilns, used to fire the developing wares local to the region over time. Often older kilns and newer kilns coexist within a single kiln-site. The firing of zisha clay wares in Yixing took place in countless kiln-sites[3] that had been in operation since the Qin (221 – 206 BCE) and Western Han (202 BCE - 9 CE) dynasties, with modern zisha becoming the primary ceramic product by the mid-to-late Ming dynasty (1368 – 1644 CE). The kilns of Yixing adopted new firing methods for the firing of zisha and other minor-ceramics of the region[4], including adjustments to the fuel source and firing schedules[5], adapting the leading kiln technology of each era to their needs. All early (pre-Ming) kiln-sites in Yixing were composed of communal kilns, shared and tended for by the village; private kilns, owned and operated in a capitalistic fashion, arriving in Yixing by the early 1600s CE at latest[6].

From the earliest zisha teapots (mid-Ming) to the beginning of the communist era, Yixing wares were fired in wood burning dragon kilns (龙窑, long yao), which were the predominate firing method in most major ceramic centers throughout China. Yixing, like many other ceramic centers, fired its wares in saggars[7] to prevent ash, natural glaze, and the “fire-touched” (惹火, rehuo) flaw from forming on the unglazed wares.

The foundation of Yixing Factory 1 (“F1”) in 1958 and the government’s focus on industrialization led to the experimentation and development of new methods for firing ceramics. The Yixing kilns went through a rapid period of experimentation starting in the 1960s with variations on downdraft kilns[8], a form of single-chamber kiln[9]; before developing the tunnel kilns[10] in 1965 which replaced all other active kiln-types by 1973.

Below is crystalline TaTlRh2 at its relaxed geometry, with properties calculated at the PBE level.

abc: 2.9953 2.9953 7.7049
angles: 90.00 90.00 90.00
Last column: nearest neighbours and their distance in Å.
Fractional coordinates of all 4 atoms:
Rh 0.0000 0.0000 0.2262  4 Ta 2.74, 4 Tl 2.99, 4 Rh 3.00
Ta 0.5000 0.5000 0.0000  8 Rh 2.74, 4 Ta 3.00
Rh 0.0000 0.0000 0.7738  4 Ta 2.74, 4 Tl 2.99, 4 Rh 3.00
Tl 0.5000 0.5000 0.5000  8 Rh 2.99, 4 Tl 3.00

Computed properties:
SG = P4/mmm (123)
crystal system = tetragonal

=====

Below is crystalline Ta2TlRh2 at its relaxed geometry, with properties calculated at the PBE level.

abc: 7.7546 7.7546 2.9539
angles: 90.00 90.00 90.00
Last column: nearest neighbours and their distance in Å.
Fractional coordinates of all 10 atoms:
Ta 0.3390 0.1610 0.5000  6 Rh 2.71-2.73, 2 Ta 2.95
Rh 0.1301 0.3699 0.0000  6 Ta 2.71-2.73, 3 Rh 2.85-2.95
Tl 0.5000 0.5000 0.0000  2 Tl 2.95, 4 Rh 3.04, 8 Ta 3.26
Rh 0.6301 0.1301 0.0000  6 Ta 2.71-2.73, 3 Rh 2.85-2.95
Ta 0.6610 0.8390 0.5000  6 Rh 2.71-2.73, 2 Ta 2.95
Rh 0.8699 0.6301 0.0000  6 Ta 2.71-2.73, 3 Rh 2.85-2.95
Ta 0.8390 0.3390 0.5000  6 Rh 2.71-2.73, 2 Ta 2.95
Ta 0.1610 0.6610 0.5000  6 Rh 2.71-2.73, 2 Ta 2.95
Tl 0.0000 0.0000 0.0000  2 Tl 2.95, 4 Rh 3.04, 8 Ta 3.26
Rh 0.3699 0.8699 0.0000  6 Ta 2.71-2.73, 3 Rh 2.85-2.95

Computed properties:
offset from the most stable computed form = 0.00 eV/f.u.
SG = P4/mbm (127)
crystal system = tetragonal

=====

Below is crystalline TaTlRh2 at its relaxed geometry, with properties calculated at the PBE level.

abc: 4.5868 4.5868 4.5868
angles: 60.00 60.00 60.00
Last column: nearest neighbours and their distance in Å.
Fractional coordinates of all 4 atoms:
Tl 0.2500 0.2500 0.2500  4 Ta 2.81, 4 Rh 2.81
Rh 0.7500 0.7500 0.7500  4 Ta 2.81, 4 Rh 2.81
Ta 0.5000 0.5000 0.5000  4 Tl 2.81, 4 Rh 2.81
Rh 0.0000 0.0000 0.0000  4 Tl 2.81, 4 Rh 2.81

Computed properties:
SG = F-43m (216)
crystal system = cubic

=====

Below is crystalline TaTlRh2 at its relaxed geometry, with properties calculated at the PBE level.

abc: 4.8093 4.8093 2.9894
angles: 90.00 90.00 102.02
Last column: nearest neighbours and their distance in Å.
Fractional coordinates of all 4 atoms:
Ta 0.0000 0.0000 0.5000  8 Rh 2.83, 2 Ta 2.99, 2 Tl 3.03
Rh 0.0000 0.5000 0.0000  4 Tl 2.83, 4 Ta 2.83, 4 Rh 2.99-3.03
Rh 0.5000 0.0000 0.0000  4 Tl 2.83, 4 Ta 2.83, 4 Rh 2.99-3.03
Tl 0.5000 0.5000 0.5000  8 Rh 2.83, 2 Tl 2.99, 2 Ta 3.03

Computed properties:
SG = Cmmm (65)
crystal system = orthorhombic

=====

Below is crystalline Ta2TlRh2 at its relaxed geometry, with properties calculated at the PBE level.

abc: 7.8891 7.8891 2.9323
angles: 90.00 90.00 90.00
Last column: nearest neighbours and their distance in Å.
Fractional coordinates of all 10 atoms:
Tl 0.0000 0.0000 0.0000  2 Tl 2.93, 4 Ta 2.99
Rh 0.1354 0.6354 0.5000  6 Ta 2.71-2.78, 3 Rh 2.93-3.02
Ta 0.8475 0.6525 0.0000  6 Rh 2.71-2.78, 2 Ta 2.93, 2 Tl 2.99
Rh 0.3646 0.1354 0.5000  6 Ta 2.71-2.78, 3 Rh 2.93-3.02
== Back to the article ==

Electric kilns were available for experimentation and production firings by the late-1980 or early 1990s, becoming viable for small scale firings around the end of the F1 era and the privatization of Yixing Factory 1. Today, many artisans have an electric kiln for experimental firings and developments, or for independent use in conjunction with a tunnel kiln.

This chapter thus covers the sustained use of the wood fired dragon kiln throughout the dynastic period for all historical zisha wares, the brief experimentation with coal-fired downdraft kilns and their reemergence as wood fired kilns in the contemporary era, the development of the now-standard tunnel kiln (switching from coal and oil to gas), and finally the arrival of electric kilns.

[1] In addition to kiln loading patterns to create even airflow and knowledge of placement for hotter and cooler areas within the kiln.

[2] As in other industries, there were two overlapping yet distinct sources of knowledge exchange within dynastic China: the literati wrote articles for the provincial gazetteers and stand-alone manuscripts for publication, sharing knowledge while promoting their views and expertise to other literate scholars and officials; separately, the (often illiterate) craftsmen and artisans embodied practical knowledge learned from trade; such knowledge was exchanged both via individuals changing jobs or immigrating to new areas, and through exchange with the Imperial Workshops in Jingdezhen (the Imperial Kiln) and within the Forbidden City (the Imperial Workshop), where craftsmen were temporarily hired before returning to private practice.

[3] Most dragon-kiln-sites in Yixing are identifiable by excavating the discard piles of broken teapots in close proximity; craftsmen controlled the quality of their available work by destroying pieces that didn’t meet their standards after firing, or those pieces which cracked during firing.

[4] Such as Yijun (宜均), and other daily use wares made of non-zisha clay.

[5] A firing schedule is the timeline of temperature and kiln atmosphere throughout the firing. A different firing schedule will yield a different time-temperature curve; the firing schedule can be modified by changing the amount of fuel, the fuel source, or the placement or removal of blocks in the mouth or ports for airflow (which will modify the kiln atmosphere and thus time-temperature curve of the firing).

[6] Coinciding with economic reforms leading the monetization of the Chinese economy in the late Ming dynasty.

[7] Saggars are ceramic boxes used to protect wares from the kilns’ atmospheric ash and flames, which can form surface deposits, natural glazing, or the fire-touched (惹火, rehuo; which is a form of yaobian, 窑变, “kiln changed”) flaw. Ash deposits, sporadic glaze, and rehuo flaws are rarely found on Yixing wares from the official kilns as (almost) all wares were fired in a saggar; ash deposits on a Yixing may be an indication of an antique private commission, or a contemporary wood firing.

[8] Both coal firing kilns (煤窑, mei yao) and oil firing kilns (重油窑, zhongyou yao).

[9] Contemporary wood fired Yixing teapots are most often fired in a wood burning downdraft kiln.

[10] Tunnel kilns were originally coal and oil fired at the time; with experimentation in design and process continuing throughout the F1 and into the present period. Modern tunnel kilns are gas kilns (气窑, qi yao), firing wares by burning natural gas.
